
Tuesday, November 20, 2012

Revolutionary Physick?

Hugh Mercer's Apothecary Shop, Fredericksburg, Virginia, ca. 1775.

                    Fredericksburg, Virginia was once the sight of a major Continental Army hospital at the intersection of Caroline and William Street. BGen Hugh Mercer practiced medicine in Fredericksburg before the war, but was killed in the New Jersey Campaign before the establishment of the hospital. Mercer’s Caroline Street office and apothecary shop is a now historic site, currently managed by Preservation Virginia, and many of the "medecines" found there were used at the military hospital. From Jefferson’s papers we find a list of medicines used in the hospital in that day. Several thoughts are born of this list, 1. Continental doctors thought that copious bowel movements and/or vomiting were the best treatment for just about every ill, based on the amount of emetics, cathartics, and laxatives that were kept in the medicine chest, 2. There was a lot of syphilis in the Continental Army…or at least in the Virginia and Maryland line. I suppose that playing cards, hazards, or the occasional Game of Goose were not the only recreation in the army.

                                                                                                                            December 28 1780
               I am persuaded your Excellency and the Honble. Council will pardon the liberty of this address, as It’s intended to relieve the Distress of the Soldiery that may occasionally be in the Hospital here.
               Doctor Rickman in September last wrote me to take Charge of the Hospital at this place and at present to find Medicine for them, Which should be repaid. I did so, and until this time attended, and found Medicine for a great many of the Virginia and Maryland Line that were ordered by the officers to be taken care of. This I carefully attended to, and sent them all away to their respective Corps except three that shall shortly be sent forward.
               As It’s not in my Power to find Medicine much longer out of my private stock for Practice, I take liberty of sending an Invoice of such as may be absolutely necessary for the Sick and wounded, to request that they may be ordered to this place, and they shall be Carefully kept for that particular purpose. As I have purchased Medicine at a very dear Rate for 12 months past, and never received any Payment or Emolument for Services done, I hope your Excellency will direct me and order payment in that Line, as I am unacquainted with the mode of application. 

- - -
# 1
19
Properties=species:S:1:pos:R:3:nbo_charge:R:1 method="wB97M-V/def2-TZVPD" homo_ev=-6.69 gap_ev=6.7
C 0.970 -1.639 0.531 -0.6364
C 0.005 -0.477 0.721 -0.0019
C -1.011 -0.567 1.614 -0.4349
C -0.557 0.240 -0.948 -0.0233
C 0.254 0.832 0.035 -0.1672
C 0.130 2.186 0.699 -0.6457
C 0.059 -0.290 -2.188 -0.6506
H 0.692 -2.244 -0.334 0.2126
H 0.991 -2.275 1.414 0.2192
H 1.975 -1.257 0.358 0.2196
H -1.002 -1.315 2.396 0.2052
H -1.861 0.098 1.528 0.1940
H -1.653 0.330 -0.897 0.1812
H 1.104 2.547 1.031 0.2216
H -0.519 2.129 1.575 0.2126
H -0.310 2.917 0.022 0.2067
H -0.609 -0.930 -2.768 0.2094
H 0.984 -0.840 -1.982 0.2358
H 0.359 0.552 -2.809 0.2422

=====

# 2
19
Properties=species:S:1:pos:R:3:nbo_charge:R:1 method="wB97M-V/def2-TZVPD" homo_ev=-8.70 smiles="CC1=CC1.C=CC" gap_ev=9.8
C 0.598 -0.029 1.633 -0.6537
C 1.273 0.290 0.369 0.0631
C 2.029 1.138 -0.249 -0.2313
C 2.419 -0.304 -0.381 -0.4387
H 1.509 0.033 2.244 0.2381
H -0.125 0.711 1.986 0.2234
H 0.139 -1.022 1.663 0.2300
H 2.272 2.160 -0.477 0.2192
H 2.275 -0.794 -1.344 0.1774
H 3.223 -0.754 0.222 0.1671
C -0.734 -0.731 -1.369 -0.4075
C -1.746 -0.723 -0.512 -0.1808
C -2.402 0.538 -0.052 -0.6557
H -0.451 -1.637 -1.890 0.2016
H -0.227 0.196 -1.620 0.2019
H -2.268 -1.649 -0.281 0.1943
H -3.180 0.720 -0.801 0.2247
H -1.727 1.401 -0.070 0.2152
H -2.876 0.455 0.930 0.2118

=====

# 3
19
Properties=species:S:1:pos:R:3:nbo_charge:R:1 method="wB97M-V/def2-TZVPD" homo_ev=-8.32 gap_ev=8.5
C -2.142 -0.098 0.384 -0.6176
C -1.221 -0.663 -0.676 -0.2188
C -0.035 0.085 -1.223 -0.2475
C 0.464 1.265 -0.400 -0.6325
C 0.972 0.802 0.936 0.2084
C 0.788 -0.689 0.934 -0.6326
C 0.171 -1.152 -0.380 -0.2479
H -2.912 0.535 -0.071 0.2163
H -2.647 -0.906 0.924 0.2160
H -1.622 0.514 1.131 0.2057
H -1.747 -1.256 -1.421 0.2171
H 0.137 0.069 -2.296 0.2228
H 1.249 1.842 -0.912 0.2722
H -0.311 2.016 -0.174 0.2639
H 3.467 0.778 0.290 -0.0096
H 2.975 1.032 0.796 0.0248
H 0.168 -0.903 1.821 0.2644
H 1.746 -1.182 1.159 0.2718
H 0.498 -2.090 -0.823 0.2229

=====

# 4
19
Properties=species:S:1:pos:R:3:nbo_charge:R:1 method="wB97M-V/def2-TZVPD" homo_ev=-8.07 smiles="C/C=C/C=C/CC" gap_ev=9.2
C 2.337 -2.903 -0.129 -0.6454
C 1.040 -2.190 0.122 -0.1614
C 0.840 -0.938 -0.302 -0.2203
C -0.124 0.038 0.169 -0.2567
C 0.033 1.348 -0.002 -0.1378
C -1.058 2.431 -0.051 -0.4414
C -2.459 2.035 0.397 -0.6219
H 2.681 -2.563 -1.107 0.2117
H 3.101 -2.648 0.602 0.2203
H 2.277 -3.990 -0.159 0.2097
H 0.247 -2.841 0.476 0.1971
H 1.448 -0.603 -1.145 0.1917
H -1.011 -0.323 0.685 0.1986
H 0.957 1.778 -0.379 0.1882
H -1.118 2.534 -1.135 0.2217
H -0.627 3.250 0.524 0.2156
H -2.472 0.960 0.585 0.2049
H -3.195 2.089 -0.405 0.2101
H -2.898 2.533 1.255 0.2152

=====

# 5
19
Properties=species:S:1:pos:R:3:nbo_charge:R:1 method="wB97M-V/def2-TZVPD" homo_ev="-7.94 / -8.22" gap_ev="8.4 / 8.7"
C -1.603 0.769 0.167 -0.3676
C -1.197 -0.642 -0.081 -0.2701
C -0.170 -0.765 -1.233 -0.4466
C 0.904 -0.929 -0.172 0.0571
C 2.219 -0.780 -0.173 -0.4204
C 0.358 2.188 0.351 -0.5526
- - -

I am with profound Respect, Your most Obt Hble St.

                                                                                                                            Chs. Mortimer


Jallap              Tartar Emetic         Mercurial Ointment
Ipeccachuan    Glauber Salts          Quicksilver
Rhubarb          Calomel                  Cream Tartar
Salt Peter        Oil Turpentine        Gum Arabick
Bark                Plasters                  Gum Guiacum
Salt Tartar      Olive Oil                Camphire
Spermacoeti   Spanish flies           Aloes
Laudanum       Elixir Paregoric      Tow
Opium            Bals Traumatick      Splints
Basilicon       Volatiles
Paper and Whatever the Director general may think Proper

                                                                             Chs. Mortimer
                                                                             Fredericksburg Dcr. 28th 1780[1]

Dr. Mercer's pharmacoepia, apparently similar to that of Dr. Mortimer...
many of the labels are the same as in the letter above.  Evacuation and vomiting!

Jallap: A cathartic drug derived from the roots of the plant ipoemia purga, found in the mountains of central Mexico.
Tartar Emetic: Also known as Antimony. Used to induce vomiting by dissolving in wine.
Mercurial Ointment: Topical disinfectant (similar to modern mercurochrome).
Ipeccachuan: Emetic made from the root of the South American Ipegakwai plant. Also used to induce sweating, treat dysentery, and bronchitis.
Glauber Salts: Hydrate of Sodium sulfate. General purpose laxatives.
Quicksilver: Mercury. Used to treat syphilis, constipation.
Rhubarb: Roots and stems used as a powerful cathartic and laxative.
Calomel: Mercury chloride. Used as a diuretic or laxative and to treat syphylis.
Cream Tartar: Potassium bitartrate. An emulsifier used to make creams, ointments, etc.
Salt Peter: Potassium nitrite. Used to treat asthma, overactive libido, and high blood pressure
Oil Turpentine: Oleoresin, perhaps unrefined turpentine. Topically used to treat lice infestation, wound cleanser (anti-septic) or expectorant.
Gum Arabick: Sap from the Acacia tree. Used as an emulsifier for various medicinal compounds.
Bark: Jesuits or Peruvian Bark. Bark from the cinchona tree, used to treat malaria.
Plasters: Used to immobilize limbs. Used topically to treat rashes.
Gum Guiacum: Extract from the heartwood of the Guiacum plant. Used to treat syphilis, chronic gout, and rheumatism.
Salt Tartar: Used as an emulsifier in preparing medicinal compounds, ointments, etc.
Olive Oil: Used to treat a cough and as a laxative.
Camphire: Camphor. Used as a local anesthetic or to treat rashes, and as an aromatic to treat “mania”.
Sperma coeti: Used as an excipient or suspension for medicines, ointments.
Spanish flies: Secretions from the Green Spanish Fly (blistering agent) used as a topical treatment for warts.
Aloes: Used as a mild laxative, or digestive aid, and a topical ointment.
Laudanum: Alcoholic Tincture- Analgesic used as a painkiller and cough suppressant.
Elixer Paragoric: Camphorated Tincture of Opium-anti-diarrheal, expectorant.
Tow: Used for bandages, cleaning wounds, etc.
Opium: Anesthetic.
Bals Traumatick: ?
Splints: Used to set limbs.
Basilicon: Ointment containing pitch, rosin, oil, etc. Used to aid in the discharge of pus.
Volatiles:  Ammonium carbonate. Also known by Sal Volatiles or Salt of Hartshorn. An ingredient of smelling salts, also ingested as an emetic.


[1] Boyd, J.P. ed., Papers of Tho. Jefferson, Vol 4., Princeton, NJ, Princeton University Press, 1951. (242-243).

1 comment:

  1. Thank you! The letter was a great find (Gray Research Center), and having the apothecary shop close by, it was fun to actually see the medicines. Many of them are mentioned by the character Dr. Steven Maturin in O'Briens Aubrey/Maturin series of Napoleonic War novels. Now that I think about Patrick O'Brien's very dry wit, it is very comical that he is so detailed in his description of Royal Navy surgeons' prescriptions. A lot of evacuation, vomiting, and toxicity aboard His Majesty's ships. Several of these elements are combined to make the "Black Draught" or "Blue Pill". Both contained high levels of mercury-supposed to cure Melancholia (and venereal diseases), but in actuality causing mercury poisoning. These were often prescribed daily, resulting in an intake of mercury 33 times above the modern FDA limits for daily intake!
